### Exercise
The reader should work out how many lines below have the word "YCo2Sb" in them; a number is enough.

### File
/*
No. 1
Entry from Alexandria: SrCaMo2 at its PBEsol-relaxed geometry (SCAN).

```
SrCaMo2
1.0
3.998 0.000 0.000
0.000 3.998 0.000
0.000 0.000 6.665
Sr Ca Mo
1 1 2
Direct
0.000 0.000 0.000
0.000 0.000 0.500
0.500 0.500 0.341
0.500 0.500 0.659
```

Summary:
Its total energy is -0.89653 Ha/atom. The calculation puts the total moment at 0.20 μB/atom. Its relative energy among the computed polymorphs is 0.55 eV/f.u. For the density of states at the Fermi level, the calculation gives 1.25 states/eV/atom.

=====

No. 2
Entry from Alexandria: HfSnIrPt2 at its PBEsol-relaxed geometry (SCAN).

```
HfSnIrPt2
1.0
4.897 0.000 0.000
0.000 4.897 0.000
0.000 0.000 4.801
Hf Sn Ir Pt
1 1 1 2
Direct
0.000 0.000 0.000
0.500 0.500 0.500
0.000 0.000 0.500
0.000 0.500 0.000
0.500 0.000 0.000
```

Summary:
Its total energy is -2.24993 Ha/atom. The calculation puts the total moment at 0.00 μB/atom. For the density of states at the Fermi level, the calculation gives 0.80 states/eV/atom.

=====

No. 3
Entry from Alexandria: TlNiW2 at its PBEsol-relaxed geometry (SCAN).

```
TlNiW2
1.0
3.222 0.000 0.000
0.000 3.222 0.000
0.000 0.000 6.189
Tl Ni W
1 1 2
Direct
0.000 0.000 0.000
0.500 0.500 0.757
0.000 0.000 0.526
0.500 0.500 0.314
```

Summary:
Its total energy is -2.07336 Ha/atom. The calculation puts the total moment at 0.00 μB/atom. Its relative energy among the computed polymorphs is 0.00 eV/f.u. For the density of states at the Fermi level, the calculation gives 0.82 states/eV/atom.

=====

No. 4
Entry from Alexandria: FeTe2NO at its PBEsol-relaxed geometry (SCAN).

```
FeTe2NO
1.0
4.997 0.000 0.000
0.000 4.997 0.000
0.000 0.000 3.290
Fe Te N O
1 2 1 1
Direct
0.000 0.000 0.000
0.000 0.500 0.000
0.500 0.000 0.000
0.000 0.000 0.500
0.500 0.500 0.500
```

Summary:
Its total energy is -0.77556 Ha/atom. The calculation puts the total moment at 0.00 μB/atom. For the formation energy without anion corrections, the calculation gives 0.53 eV per atom. For the density of states at the Fermi level, the calculation gives 0.62 states/eV/atom.

=====

No. 5
Entry from Alexandria: Be3PtBr at its PBEsol-relaxed geometry (SCAN).

```
Be3PtBr
1.0
4.380 0.000 0.000
0.000 4.380 0.000
0.000 0.000 4.380
Be Pt Br
3 1 1
Direct
0.000 0.000 0.500
0.000 0.500 0.000
0.500 0.000 0.000
0.000 0.000 0.000
0.500 0.500 0.500
```

Summary:
Its total energy is -0.74769 Ha/atom. The calculation puts the total moment at 0.00 μB/atom. For the formation energy without anion corrections, the calculation gives 0.20 eV per atom. For the density of states at the Fermi level, the calculation gives 0.38 states/eV/atom.

=====

No. 6
Entry from Alexandria: KRe3Ag at its PBEsol-relaxed geometry (SCAN).

```
KRe3Ag
1.0
4.836 0.000 0.000
0.000 4.836 0.000
0.000 0.000 4.836
K Re Ag
1 3 1
Direct
0.000 0.000 0.000
0.000 0.500 0.500
0.500 0.000 0.500
0.500 0.500 0.000
0.500 0.500 0.500
```

Summary:
Its total energy is -1.74103 Ha/atom. The calculation puts the total moment at 1.21 μB/atom. For the density of states at the Fermi level, the calculation gives 1.23 states/eV/atom.

=====

No. 7
Entry from Alexandria: YCo2Sb at its PBEsol-relaxed geometry (SCAN).

```
YCo2Sb
1.0
6.496 0.000 0.000
0.000 6.496 0.000
0.000 0.000 6.496
Y Co Sb
4 8 4
Direct
0.000 0.000 0.000
0.000 0.500 0.500
0.500 0.000 0.500
0.500 0.500 0.000
0.000 0.000 0.500
0.000 0.500 0.000
0.250 0.250 0.750
0.250 0.750 0.250
0.500 0.000 0.000
0.500 0.500 0.500
0.750 0.250 0.250
0.750 0.750 0.750
0.250 0.250 0.250
0.250 0.750 0.750
0.750 0.250 0.750
0.750 0.750 0.250
```

Summary:
Its total energy is -0.91416 Ha/atom. The calculation puts the total moment at 0.80 μB/atom. For the formation energy without anion corrections, the calculation gives 0.05 eV per atom. For the density of states at the Fermi level, the calculation gives 1.02 states/eV/atom.

=====

No. 8
Entry from Alexandria: ZrTe2W at its PBEsol-relaxed geometry (SCAN).

```
ZrTe2W
1.0
3.483 0.000 0.000
0.000 4.140 0.000
0.000 0.000 11.845
Zr Te W
2 4 2
Direct
0.000 0.000 0.000
*/

### Reply
2